Our Votes Could Mean More - Ranked Choice Voting

People should be able to vote their conscience every time they cast a ballot.

The Way Things Are

Politics is a nasty, bitter business. When people talk about a general election, you'll hear someone say, "I don't really like so-and-so, but I'm voting for them so the other person won't win". Perhaps someone would rather vote for Trump than support a broader social safety net. Maybe someone voted for Hillary just because they didn't want a Republican in charge of Supreme Court nominations.

These people aren't voting their true belief, but for the least bad candidate. The reluctant Clinton voter in 2016 may have wanted a more progressive candidate in office, and the nose-holding Trump voter may have wanted an establishment Republican. Or maybe someone voted Libertarian. Good luck with that proposition.

We have a duopoly of organized political thought in this country: The Democratic Party and the Republican Party. These private organizations are not chartered by the federal government; they are not written into our Constitution or the US Code. They maintain their grip on power because our voting systems only allow for two viable candidates in a given election.

What if you could vote for the candidate you most believed in? What if you supported an outsider candidate and wanted to tell your government how you felt on the ballot? And what if doing that didn't "waste a vote"?

Voting Your Conscience

Today, in most jurisdictions, an election is decided by Plurality Voting - or First Past The Post. In short, whoever gets more votes than any other candidate wins. Sometimes, a candidate is required to get more than 50% of the vote, so a runoff can be required if necessary.

This system ha several downsides, the most immediate and frustrating of which is the "spoiler effect". It means that voting for the candidate you most prefer (but who is less popular) will end up helping the candidate you least prefer. Think of the common, though debated, instances of the conservative Ross Perot helping liberal Bill Clinton win in 1992, or the liberal Green Party candidate Ralph Nader helping conservative George Bush win in 2000. (Never mind hanging chads or the Supreme Court).

Why does this happen? You only get to tell the government how you feel about one candidate. They don't ask about your broader preferences. They don't ask you who you would vote for if your first choice isn't viable. But they can! A better system is Ranked Choice Voting.

The Voting System We Can Have

Click on the link above to read a lot more - but I will give you the crash course.

How you vote

  • You receive a ballot of, say, five candidates for an election.
  • You rank each candidate in order of preference. 1 is the most preferred candidate, and 5 is the least preferred.
  • That is it.

No. 1
Below is a relaxed structure of Cs2Tl2Ga, with properties calculated at the PBE level.

Unit cell a=7.3313 b=23.5825 c=5.7277 alpha=90.00 beta=90.00 gamma=90.00
Closest atoms and distances in Å follow each position.
Space group Ibam (No. 72)
One atom of each set of equivalent atoms:
Cs 0.2356 0.1476 0.0000 (multiplicity 8)  3 Tl 3.80-3.96, 2 Ga 4.14
Tl 0.1655 0.4540 0.0000 (multiplicity 8)  2 Ga 3.04, 1 Tl 3.26
Ga 0.0000 0.0000 0.2500 (multiplicity 4)  2 Ga 2.86, 4 Tl 3.04

## Properties
ΔH_f (0 K)   -0.0663 eV/atom
E   -1.96 eV/atom

No. 2
Below is a relaxed structure of Ho5In, with properties calculated at the PBE level.

Unit cell a=4.8463 b=14.9695 c=4.8383 alpha=90.00 beta=90.00 gamma=90.00
Closest atoms and distances in Å follow each position.
Space group Cmmm (No. 65)
One atom of each set of equivalent atoms:
Ho 0.0000 0.0000 0.0000 (multiplicity 2)  4 In 3.42, 8 Ho 3.43-3.49
Ho 0.0000 0.1622 0.5000 (multiplicity 4)  10 Ho 3.43-3.57, 2 In 3.43
Ho 0.0000 0.3319 0.0000 (multiplicity 4)  10 Ho 3.43-3.51, 2 In 3.49
In 0.0000 0.5000 0.5000 (multiplicity 2)  12 Ho 3.42-3.49

## Properties
ΔH_f (0 K)   -0.1621 eV/atom
E   -4.43 eV/atom

- Number 1 is which compound?
  Cs2Tl2Ga

* * * * *

(1)
{"formula": "CoSiSe2", "functional": "meta-GGA SCAN", "state": "single point on PBEsol structure", "e_form_raw_ev_per_atom": -0.181, "e_tot_ev_per_cell": -68.200, "space_group": "Immm (71)", "lattice_angstrom": [[-1.700, 1.719, 6.110], [1.700, -1.719, 6.110], [1.700, 1.719, -6.110]], "species": ["Co", "Si", "Se", "Se"], "frac_coords": [[0.000, 0.000, 0.000], [0.500, 0.500, 0.000], [0.142, 0.642, 0.500], [0.858, 0.358, 0.500]]}



(2)
{"formula": "Y2Zn2Os", "functional": "meta-GGA SCAN", "state": "single point on PBEsol structure", "formation_energy_ev_per_atom": -0.197, "e_tot_ev_per_cell": -155.580, "space_group": "I4/mmm (139)", "lattice_angstrom": [[-1.705, 1.705, 8.869], [1.705, -1.705, 8.869], [1.705, 1.705, -8.869]], "species": ["Y", "Y", "Zn", "Zn", "Os"], "frac_coords": [[0.092, 0.092, 0.000], [0.908, 0.908, 0.000], [0.250, 0.750, 0.500], [0.750, 0.250, 0.500], [0.500, 0.500, 0.000]]}



(3)
{"formula": "CaMnZn2", "functional": "meta-GGA SCAN", "state": "single point on PBEsol structure", "formation_energy_ev_per_atom": -0.140, "e_tot_ev_per_cell": -55.510, "space_group": "Fm-3m (225)", "lattice_angstrom": [[0.000, 3.289, 3.289], [3.289, 0.000, 3.289], [3.289, 3.289, 0.000]], "species": ["Ca", "Mn", "Zn", "Zn"], "frac_coords": [[0.000, 0.000, 0.000], [0.500, 0.500, 0.500], [0.250, 0.250, 0.250], [0.750, 0.750, 0.750]]}



(4)
{"formula": "SrZnCd", "functional": "meta-GGA SCAN", "state": "single point on PBEsol structure", "formation_energy_ev_per_atom": -0.134, "e_tot_ev_per_cell": -66.607, "space_group": "F-43m (216)", "lattice_angstrom": [[0.000, 3.483, 3.483], [3.483, 0.000, 3.483], [3.483, 3.483, 0.000]], "species": ["Sr", "Zn", "Cd"], "frac_coords": [[0.000, 0.000, 0.000], [0.750, 0.750, 0.750], [0.500, 0.500, 0.500]]}
So much for the calculated crystals

Pretty simple, right? It isn't complicated to think about.

How the vote is counted

  • Tally the #1 votes. If one candidate has >50% of the vote, DONE!
  • If not, remove the least popular candidate from the pool.
  • Look at the #2 vote of each person who voted #1 for the ousted candidate.
  • DONE! Probably. Having more than one runoff is unlikely in practice. If not done, repeat the elimination/recount procedure.

This, too, is simple. What have we accomplished by changing our system in such an intuitive way?

You told the government how you really feel

If nothing else, the data from a Ranked Choice election is much more informative than exit polls or a Plurality vote. Each voter can go on the record and give candid, truthful feedback to the government on who they support, without the fear of "wasting their vote" on less likely third party candidates.

Independent candidates will not sabotage similar candidates

With Ranked Choice Voting, a candidate with similar ideologies can run against a Democrat/Republican without helping the "other side". A progressive Liberal could run without hurting a Democrat, or a real fiscal conservative could run against a Republican without hurting that party.

Those independent candidates could win

## Attached: crystal structures
........
Entry 1:
A geometry-optimized DyNiAg structure, computed with PBE.

Computed properties:
* excess energy over the best structure of this formula in the dataset: 256 meV per atom
* M_tot: 0.0 μB per formula unit
* DFT formation energy: -133 meV per atom
* E: -4.544 eV per atom
* symmetry: Fmmm, No. 69

a = 4.831 Å, b = 4.963 Å, c = 6.037 Å
α = 78.77°, β = 66.41°, γ = 60.87°
Positions (direct):
Dy1 0.358 0.000 0.284
Ni1 0.250 0.500 0.500
Ag1 0.835 0.330 0.000
Ag2 0.165 0.670 0.000
Dy2 0.642 0.000 0.716
Ni2 0.750 0.500 0.500



Entry 2:
A geometry-optimized SiPBr2 structure, computed with PBE.

Computed properties:
* excess energy over the best structure of this formula in the dataset: 762 meV per atom
* M_tot: 0.0 μB per formula unit
* E: -2.966 eV per atom
* symmetry: R-3m, No. 166
* energy relative to the elements, uncorrected: 0.579 eV per atom

a = 9.444 Å, b = 9.444 Å, c = 9.444 Å
α = 20.97°, β = 20.97°, γ = 20.97°
Positions (direct):
Br1 0.909 0.909 0.909
Si1 0.500 0.500 0.500
Br2 0.091 0.091 0.091
P1 0.000 0.000 0.000



Entry 3:
A geometry-optimized Pt2AuSe structure, computed with PBE.

Computed properties:
* M_tot: 0.0 μB per formula unit
* E: -4.623 eV per atom
* symmetry: C2/m, No. 12
* energy relative to the elements, uncorrected: 0.088 eV per atom

a = 3.744 Å, b = 3.744 Å, c = 6.474 Å
α = 73.37°, β = 73.37°, γ = 59.76°
Positions (direct):
Pt1 0.494 0.494 0.517
Pt2 0.006 0.006 0.983
Au1 0.250 0.250 0.250
Se1 0.750 0.750 0.750



Entry 4:
A geometry-optimized Al2CrAu2 structure, computed with PBE.

Computed properties:
* excess energy over the best structure of this formula in the dataset: 37 meV per atom
* M_tot: 0.0 μB per formula unit
* DFT formation energy: 115 meV per atom
* E: -4.618 eV per atom
* symmetry: P4/mbm, No. 127

a = 7.419 Å, b = 7.419 Å, c = 2.940 Å
α = 90.00°, β = 90.00°, γ = 90.00°
Positions (direct):
Au1 0.635 0.135 0.000
Au2 0.135 0.365 0.000
Al1 0.832 0.332 0.500
Cr1 0.500 0.500 0.000
Cr2 0.000 0.000 0.000
Al2 0.168 0.668 0.500
Al3 0.332 0.168 0.500
Au3 0.365 0.865 0.000
Au4 0.865 0.635 0.000
Al4 0.668 0.832 0.500



Entry 5:
A geometry-optimized ZrOsAu structure, computed with PBE.

Computed properties:
* excess energy over the best structure of this formula in the dataset: 114 meV per atom
* M_tot: 0.0 μB per formula unit
* DFT formation energy: 6 meV per atom
* E: -7.680 eV per atom
* symmetry: P3m1, No. 156

a = 4.721 Å, b = 4.721 Å, c = 2.747 Å
α = 90.00°, β = 90.00°, γ = 120.00°
Positions (direct):
Au1 0.000 0.000 0.011
Os1 0.333 0.667 0.341
Zr1 0.667 0.333 0.648



Entry 6:
A geometry-optimized Th6NiS5 structure, computed with PBE.

Computed properties:
* M_tot: 0.0 μB per formula unit
* E: -7.493 eV per atom
* symmetry: C2/m, No. 12
* energy relative to the elements, uncorrected: -1.581 eV per atom

a = 7.039 Å, b = 7.037 Å, c = 7.038 Å
α = 60.00°, β = 80.37°, γ = 70.44°
Positions (direct):
Th1 0.754 0.083 0.328
Th2 0.246 0.589 0.328
Th3 0.248 0.248 0.000
Th4 0.754 0.411 0.672
S1 0.000 0.667 0.666
........

All the rest is well and good, but they are a means to this end: When voters are free to speak their mind, independent candidates have a chance to win. The candidate that is truly most favored by the majority will take office. The major parties would be forced to compete by standing for their own principles and policies - they couldn't rely on demonizing the opposition. It has been shown to promote "positive campaigning".

Can This Really Happen?

It is happening. Urban centers around the country are using it for council elections. The state of Maine has used it for their House Representative, and will use it in the 2020 presidential election. Other countries such as Australia use it.

<<<
Computed, not measured: crystalline TlW at its relaxed geometry at the PBE level of DFT.

a b c (Å): 3.176 12.851 6.854
angles (deg): 90.00 90.00 90.00
Fractional positions:
Tl  0.000  0.758  0.288
Tl  0.000  0.258  0.788
W  0.000  0.000  0.341
Tl  0.500  0.000  0.962
W  0.500  0.602  0.061
Tl  0.500  0.500  0.462
W  0.500  0.398  0.061
W  0.500  0.898  0.561
W  0.000  0.500  0.841
Tl  0.000  0.742  0.788
W  0.500  0.102  0.561
Tl  0.000  0.242  0.288

As for the total energy: -6.901 eV/atom. The calculation puts the offset from the most stable computed form at 0.135 eV/atom. As for the calculated formation energy: 759 meV per atom. The total moment is 0.0 μB/f.u.

Computed, not measured: crystalline Sm2TmScBi4 at its relaxed geometry at the PBE level of DFT.

a b c (Å): 4.464 7.727 7.709
angles (deg): 109.51 90.00 90.00
Fractional positions:
Bi  0.500  0.251  0.237
Sm  0.000  0.500  0.500
Sm  0.500  0.000  0.500
Bi  0.500  0.749  0.763
Bi  0.000  0.740  0.234
Bi  0.000  0.260  0.766
Tm  0.000  0.000  0.000
Sc  0.500  0.500  0.000

As for the total energy: -5.284 eV/atom. As for the calculated formation energy: -814 meV per atom. The total moment is 0.0 μB/f.u.

Computed, not measured: crystalline Ca2SmIn4 at its relaxed geometry at the PBE level of DFT.

a b c (Å): 5.376 5.376 8.311
angles (deg): 108.87 108.87 90.00
Fractional positions:
Ca  0.254  0.254  0.507
In  0.888  0.388  0.776
Ca  0.746  0.746  0.493
In  0.388  0.888  0.776
In  0.112  0.612  0.224
In  0.612  0.112  0.224
Sm  0.000  0.000  0.000

As for the total energy: -3.128 eV/atom. As for the calculated formation energy: -317 meV per atom. The total moment is 0.0 μB/f.u.
>>>

Will it happen overnight? No - but like so many things, it takes citizens being aware that an issue even exists to fix it. And it takes them knowing there is a solution for them to think fixing it is a reality.

It can't hurt for you to mail/email your councilperson and your state representatives on the issue, and ask where they stand. If you like chatting at the bar, bring it up as a cool thing you heard about. (It is totally cool).

It isn't sexy, but voting reform like this is a fundamental change that our country needs, right along things like campaign finance reform and the elimination of Gerrymandering.


The Spoiler Effect

Ranked Choice Voting - Get in the Weeds